Devyani of the Indian Consulate in New York, unlike the daughter of Shukracharya, and the wife of the great sage Yayati, has become widely known in our country overnight for all the wrong reasons. Understandably, the unedifying episode is not receiving much attention in the American press or television. This diplomatic crisis will also pass in a few months and recede into the background, where it belongs. However, the unseemly row over the horrendous treatment of the Indian diplomat by the New York police has triggered an overdue correction in the historic lack of reciprocity in the immunities and privileges the two countries extend to each other’s diplomats. It is important that a mutually agreed and strictly reciprocal set of diplomatic immunities will not be put on the back burner once the current crisis blows over. Mutual reciprocity in such matters helps in avoiding the recurrence of similar incidents in the future. India-US bilateral relationship is too vital for both sides to allow such avoidable incidents to vitiate the atmosphere.
Extending certain privileges and exemptions from applicability of local laws and regulations (i.e. immunities) to Ambassadors and Consuls was considered absolutely necessary for the smooth conduct of relations between nation states. Hence these are generally held inviolable over the centuries. However, in this age of instant communications, the Ambassadors are no more the only ears and eyes of the decision makers at home. The archaic legacy of diplomatic immunities needs a critical re-evauation and re-tooling in tune with the transformational changes sweeping the world in the era of globalization, I contend. But, this brief article is not the place to indulge in such a digression! However, it should be asserted that till such an updating takes place and put into practice by all nations, the existing laws, norms, and practices governing diplomatic immunities all over the world are kept sacrosanct.
A hangover from the past
However, it may not be out of place to refer to another hangover from the past that affects the macro context of the current imbroglio. Western Ambassadors (and other diplomatic entourage down the line) enjoyed/received preferential treatment in colonial Asia and Africa. Over time, the leaders and people of the former colonies gained the self confidence and self-pride needed to deal with their white counterparts with equanimity –i.e. avoiding the double edged error of undue deference and needless hostility. Some of this hangover shows up on both sides now and then. This subterraneous racial tension is not too dissimilar to white-black relations in the US, say since 1960s. Be that as it may, a dispassionate analysis of the ongoing diplomatic crisis in India-US relations must be attempted here.
“Facts” of the case
On 12 December 2013, Mrs. Devyani Khobragade, Deputy Consul in the Consulate General of India in New York City, was arrested by the US Marshals Service on charges of visa fraud and exploitation of her domestic help (Sangeeta Richard). The allegations were that Devyani gave factually incorrect information in the form seeking US visa to her maid. Devyani was also charged with non-payment of minimum wages and forcing the maid to work long hours. Such exploitation, if proved, is in violation of the US laws and also civilised conduct on the part of the “masters!”
### Unrelated to this article: calculated crystals
-- begin --
1.
Computed, not measured: a relaxed Li4MnCr3O8 crystal at the GGA+U level of DFT.

Properties
E = -6.841 eV per atom
Space group = C2/m
Total energy after the MP2020 corrections = -122.616 eV for the cell shown
Total moment = 13.00 Bohr magnetons per cell
Formation energy = -37.28 eV per formula unit
V = 9.28 Å³/atom

Cell and atoms, written as POSCAR:
```
Li4MnCr3O8
1.0
5.179 -2.946 0.000
5.179 2.946 0.000
-3.342 0.000 4.869
Li Mn Cr O
4 1 3 8
direct
0.000 0.000 0.000 Li
0.000 0.500 0.500 Li
0.500 0.000 0.500 Li
0.500 0.500 0.000 Li
0.000 0.000 0.500 Mn
0.000 0.500 0.000 Cr
0.500 0.000 0.000 Cr
0.500 0.500 0.500 Cr
0.232 0.745 0.258 O
0.255 0.768 0.742 O
0.258 0.258 0.775 O
0.262 0.262 0.248 O
0.738 0.738 0.752 O
0.742 0.742 0.225 O
0.745 0.232 0.258 O
0.768 0.255 0.742 O
```



2.
Computed, not measured: a relaxed Li2Mn3CrO8 crystal at the GGA+U level of DFT.

Properties
E = -6.965 eV per atom
Space group = P2_1
Total energy after the MP2020 corrections = -440.051 eV for the cell shown
Total moment = 52.00 Bohr magnetons per cell
Formation energy = -29.47 eV per formula unit
Distance to the lowest polymorph of the same formula = 38 meV/atom
V = 10.00 Å³/atom

Cell and atoms, written as POSCAR:
```
Li2Mn3CrO8
1.0
8.236 0.000 0.000
0.000 8.240 0.000
-0.012 0.000 8.252
Li Mn Cr O
8 12 4 32
direct
0.002 0.000 0.248 Li
0.250 0.247 0.502 Li
0.251 0.751 0.002 Li
0.497 0.999 0.748 Li
0.503 0.499 0.252 Li
0.749 0.251 0.998 Li
0.750 0.747 0.498 Li
0.998 0.500 0.752 Li
0.121 0.870 0.625 Mn
0.126 0.620 0.376 Mn
0.129 0.376 0.126 Mn
0.370 0.623 0.626 Mn
0.374 0.379 0.876 Mn
0.379 0.129 0.125 Mn
0.621 0.629 0.875 Mn
0.626 0.879 0.124 Mn
0.630 0.123 0.374 Mn
0.871 0.876 0.874 Mn
0.874 0.120 0.624 Mn
0.879 0.370 0.375 Mn
0.124 0.125 0.875 Cr
0.376 0.873 0.375 Cr
0.624 0.373 0.625 Cr
0.876 0.625 0.125 Cr
0.107 0.885 0.861 O
0.109 0.106 0.635 O
0.115 0.384 0.362 O
0.116 0.610 0.141 O
0.135 0.634 0.612 O
0.136 0.856 0.390 O
0.139 0.366 0.891 O
0.143 0.141 0.115 O
0.357 0.857 0.615 O
0.361 0.632 0.391 O
0.365 0.143 0.890 O
0.365 0.364 0.112 O
0.383 0.388 0.641 O
0.385 0.614 0.862 O
0.391 0.893 0.135 O
0.393 0.114 0.361 O
0.607 0.614 0.639 O
0.609 0.393 0.865 O
0.615 0.114 0.138 O
0.617 0.888 0.359 O
0.635 0.643 0.110 O
0.635 0.864 0.888 O
0.639 0.132 0.609 O
0.643 0.357 0.385 O
0.857 0.641 0.885 O
0.861 0.866 0.109 O
0.864 0.356 0.610 O
0.865 0.134 0.388 O
0.884 0.110 0.859 O
0.885 0.884 0.638 O
0.891 0.606 0.365 O
0.893 0.385 0.139 O
```

~~~~~

Version 1
Computed, not measured: a relaxed Na3CoO3 crystal at the GGA+U level of DFT.

```
28
Lattice="0.000 0.000 4.779 0.000 10.279 0.000 -8.390 0.000 0.000" Properties=species:S:1:pos:R:3 pbc="T T T"
Na -2.310 6.260 3.584
Na -6.080 6.260 3.584
Na 0.000 6.162 1.195
Na -4.195 9.256 3.584
Na 0.000 4.117 3.584
Na -1.885 1.120 3.584
Na -6.080 4.019 1.195
Na -1.885 9.158 1.195
Na -6.505 9.158 1.195
Na -2.310 4.019 1.195
Na -6.505 1.120 3.584
Na -4.195 1.023 1.195
Co -4.195 7.169 1.195
Co 0.000 8.249 3.584
-- stop --
With a view to protect the missing maid’s family in India from “harassment,” the US Embassy in New Delhi gave visas to her mother and father earlier and purchased air tickets to enable them to come to the US. This indeed was an unprecedented “evacuation” clearly suggesting that the police authorities had planned the arrest of the Indian diplomat in advance. Till date Devyani’s complaint to the New York Police about the missing maid remains unanswered!
Reprehensible treatment
Whatever may be the merits of the charges against Devyani, the inhuman and utterly callous treatment accorded to her following the arrest was reprehensible and deserves strongest possible condemnation, even if she was not a diplomat. She was hand cuffed repeatedly, strip searched and cavity searched, and kept in a cell along with hard core criminals and drug addicts! Devyani broke down several times during the barbaric treatment. All this was done when the authorities were aware of her diplomatic status and hence entitled to exemption from local laws. The initial assertion by the law enforcing authorities that what was done to her is “the standard operating procedure” applicable to all criminals in the country is utter nonsense. It is clearly against established diplomatic practices all over the world and violates international laws and norms and contravenes the Geneva Convention. Above all the police behaviour in the case goes against all cannons of human dignity and decency.
Other noteworthy facets
Some not so extraneous facets involved make the complex case murkier. It seems that Sangeeta was ‘black mailing’ Devyani to change her visa status and allow her to take up additional employment, etc. There were feelers on her behalf for an out of court settlement in the order of $ 10.000.
There were reports that the high powered US Attorney of Indian origin (Preet Bharara), who “scalped” many a big fish like a State Senator, Rajat Gupta and Raj Ratnam of insider trading scandal, Straus Kahn of IMF indicted for misbehaving with the room service maid, had a personal agenda to advance his political ambitions. Naturally, this was subsequently denied by asserting that Bharara came into the picture only a few days before Devyani’s arrest.
In the entire furore over the ill treatment of the august diplomat, everyone in India has forgotten Sangeeta Richard, the maid and her rights for justice. It is common knowledge that exploitation and abuse of domestic help is prevalent all over the world.
The commitment of the New York
Police to fight against such exploitation should not be sidelined. However, the allegation against Devyani is yet to be established legally and this can happen only when the case comes for hearing before the appropriate court.
Yet another twist in the case came to the fore in the midst of the give and take between the two Governments following the arrest. It seems that Devyani’s temporary assignment earlier was valid till 31 December 2013. At the time of the arrest (12 December 2013), therefore, she had a higher level of diplomatic immunity. This was on record and the State Department was in the know of this material fact. Somebody there must have goofed, unless there was a deliberate decision to ignore it.
On the Indian side a similar error had transpired. There was no need to have deputed Devyani to the UN Secretariat once again when the earlier assignment was intact. There was no need to have acted in haste and then claim untenable retroactive immunity! Obviously in the heat of such controversies something goes amiss in all offices and both sides try their best to cover themselves and put the blame on the other party.
IFS lobby jumps in
It is worth noting that in less than a week after the arrest, the ill treatment of Devyani exploded in the public arena like a bomb. Media was agog with the humiliation and indignity heaped on the Indian woman diplomat. It is clear that Khobragade family enjoys a lot of clout among the powers that be. They were able to get a flat allotted to them illegally in the Adarsh Towers is evidence enough, it may be added.
There is another interesting dimension behind the overzealous response from the Indian Government. The elite Indian Foreign Service jumped into the fray to protect their “divine right” to have servants even while serving the nation abroad! They are naturally opposed to losing the privilege of “importing” domestic help from India on a contract basis and circumvent local laws and paying minimum wages whether they work in the US, England, or Switzerland! This is a kind of turf war and nobody wants to lose privileges. The IFS clan is now working on some kind of legal arrangement whereby their “domestic staff” is treated as employees of the Government of India! There are some hassles, but we can trust our past masters in procedural innovation to come up with a suitable arrangement to protect their not so vital interests! In a way this is good, if this long standing “servant problem” of the IFS in all countries is taken care of as a consequence of the current diplomatic row between India and the US. This could become Devyani’s enduring gift to her biradari!
The way out in sight!
Since both sides are determined to not let this unsavoury episode undermine the vital bilateral equation, there has to be a way out of the mess. Passions were high on the Indian side. Even mild mannered Salman Khurshid “vowed” not to enter Lok Sabha “if I fail to restore Devyani’s dignity.” John Kerry, the US Secretary of State expressed “regret” and “concern” over the circumstances of the arrest. The Indian Government initiated several actions with a view to enforce strict reciprocity with respect to the immunities enjoyed by diplomats on both sides, which need not be catalogued here. The Government of India is insisting that the US “drop” the case against Devyani. Many people in India welcomed New Delhi’s “rare display of spine” in dealing with the US.
“The US Government requested India to withdraw the diplomatic immunity Devyani enjoys so that they could pursue the case. This means that the Americans have finally recognised her immunity and that she could not be arrested. The Government of India rightly refused to accede to the US request. The US was within its right to ask India to withdraw her from the country. On the night of 10 January Indian time, Devyani was on her way back home. In response to the US stand, India has asked the American diplomat involved in “evacuating” Sangeeta Richard’s family to leave the country within 48 hours… A strict and unambiguous reciprocal regime in the conduct of diplomacy between the two should now be urgently worked out and put in place as soon as possible. It is time for the two countries to be back in business so to say. The bilateral equation is too vital for both nations to let the ugly episode to hurt or hinder it in any way.”
However, the New York Police is equally adamant. They insist that they cannot drop the case and are legally bound to proceed with it in due course. This is not in the jurisdiction of Washington DC, they point out. The State Department helpfully says that the case will take some time to come up before the court again. Since Devyani is out on bail, she is free to leave the country any time she wants. However, if she is in the US, when the case comes up again, she is bound to be arrested again, the State Department clarified. May be here is the honourable way out both countries are looking for. But, there is a hitch. What happens to the $250, 000 paid for the bail? May be the IFS clan will find a way of circumventing the liability. The GOI may quietly pay up. Some creative accounting could come to the rescue. I have a better idea. Since the Khobragade family is seemingly very rich, they could forfeit the bail amount. That would be the ideal (adarsh) atonement for Devyani’s indiscretions abroad and illegal acquisition of wealth at home!! But, it would be too much to expect such things to happen; Kejriwal or no Kejriwal!